Sidewalk Labs, owned by Google’s parent company, Alphabet, envisions a modern, tech-powered community that realizes sustainability goals through a variety of cutting-edge tools. The collection of systems envisioned for Quayside will add up to the biggest “climate-positive community at scale in northern America,” according to Sidewalk Labs CEO Dan Doctoroff.
Urban innovations include traffic signals that would prioritize pedestrians needing more time to cross the street by deploying technology that would judge their speed and adjust signals in real time. Dynamic curbs would feature passenger loading zones during rush hours and public spaces in off-peak hours; a freight logistics hub with underground delivery would reduce truck traffic on the local streets, and a self-financing light-rail transit extension would connect residents to jobs and entice workers and visitors to the waterfront.
In addition, the project would include advanced power infrastructure and stormwater management and pneumatic waste collection. With the traffic and curb technology along with proposed cycling infrastructure (100 percent of buildings will be reachable by cyclists via a dedicated bike lane or cycling street) and expanded public transit, Sidewalk Labs estimates that once the project is at full scale, 77 percent of trips in Quayside will be via public transit, cycling or walking.
But every element of the plan is subject to approval, Doctoroff noted in late June, in a nod to the misgivings voiced by many in the community in giving a private company that much power to direct municipal development.
“We would not expect to have any unilateral right to deploy that sort of technology,” Doctoroff noted. “We would need approval.”
Called Quayside, this 12-acre proposed development along the city’s eastern waterfront was announced in October 2017. The initial estimate to begin seeking approvals for implementation was December 2018, according to a March 2018 presentation from Sidewalk Toronto — the partnership between Alphabet’s Sidewalk Labs and Waterfront Toronto, a government-appointed nonprofit focused on development.
But fast-forward to summer 2019, when Sidewalk Labs released "Toronto Tomorrow: A New Approach for Inclusive Growth,” a 1,500-plus-page Master Innovation and Development Plan (MIDP), Torontonians remained divided about the vision for Quayside. As a result, the project’s fate is up in the air.

Attached: crystal structures =
********
Crystalline MnAs at its relaxed geometry. Source: the Alexandria database, functional PBE.

Cell and atoms, written as POSCAR:
```
MnAs
1.0
0.000 3.062 3.062
3.062 0.000 3.062
3.062 3.062 0.000
Mn As
2 2
Cartesian
0.766 0.766 0.766
5.359 5.359 5.359
2.297 2.297 2.297
3.828 3.828 3.828
```

Summary:
Total DFT energy (no corrections) = -26.1 eV per cell
Crystal system = cubic
********
The City Council and Waterfront Toronto are expected to vote on plans for Quayside in the coming months.
Concerns About Citizen Data
Since its inception, critics worried that such a mass collection of citizen data — especially from a tech giant like Google’s Alphabet — poses too substantial a risk to privacy. A Sidewalk Toronto project update that leaked to a local news outlet in February intensified that criticism, and a lawsuit from the Canadian Civil Liberties Association (CCLA) followed, even before the MIDP was released.The CCLA sued all three levels of Canadian government for a “reset of the Sidewalk Toronto project” for two primary reasons, one of which was the concern over citizen data collection.
It’s nearly impossible to refute that Google collects gobs of data. In fact, a report released in August 2018 revealed just how much data Google collects on the average Internet user.
According to Google Data Collection, authored by Professor Douglas C. Schmidt of Vanderbilt University, the number of “passive” data collection events outnumber “active” collection events by approximately two-to-one (in active data collection, users directly engage with Google products and services; in passive data collection, Google collects data in the background). The study notes that passive collection was of greater interest because it goes beyond location data and “remains relatively unrecognized by the users.”
And in that passive collection, an Android device communicated roughly 900 data samples and 4.4 MB of traffic data (location, ad domains, device uploads, app store and “other”) to Google’s servers during a 24-hour period — roughly 40 data requests per hour. (By contrast, Google collected less than 1 MB of data from an iPhone in a 24-hour period — and had about one request per hour.)
So it’s no surprise that questions around data and privacy arose following the announcement of a smart city development described as “the world’s first neighborhood built from the Internet up.”
And that, said Brenda McPhail, director of the Privacy, Technology and Surveillance Project at the CCLA, is the broader problem — moving the model of the Internet into city streets.
“All you have to do is open the newspaper to understand some of the issues that are arising — privacy and surveillance and free expression and discrimination on the Internet,” she said. “So, at the core of our concerns about the way this will play out is how do we avoid those issues on city streets? How can we make sure that we’ve got the policies and the laws in place before we embed the sensors in our infrastructure?”

The proposal calls for hexagonal pavers that can be quickly reconfigured for changing urban needs.
Protecting Data, Privacy
In its winning proposal, Sidewalk Labs stated that “with heightened ability to measure the neighborhood comes better ways to manage it,” and that “Sidewalk expects Quayside to become the most measurable community in the world.”And measurement requires data, which Sidewalk Labs still hadn’t truly addressed nearly a year after winning the bid. But Sidewalk proposed that Quayside data be controlled by an independent Civic Data Trust that “would be guided by a charter ensuring that urban data is collected and used in a way that is beneficial to the community, protects privacy, and spurs innovation and investment,” wrote Alyssa Harvey Dawson, general counsel and head of legal, privacy and data governance for Sidewalk Labs, in an October 2018 blog.
Although the Civic Data Trust was a mere idea back then, the Friday following its announcement, then-Information and Privacy Commissioner of Ontario Ann Cavoukian submitted her resignation letter, saying that the proposed protection plan “is not acceptable” and that personally identifiable data must be de-identified at the source (sensors, smartphones, surveillance cameras).
In the digital governance proposal released during the Civic Data Trust announcement, Sidewalk Labs noted that data would be de-identified but didn’t guarantee when or who would do it. In addition, Cavoukian learned during a meeting that week that “third parties could access identifiable information gathered in the district.”
Just a few weeks prior to Cavoukian’s resignation, tech entrepreneur Saadia Muzaffar resigned from the Sidewalk Toronto Digital Strategy Advisory Panel.
“The most recent public roundtable in August displayed a blatant disregard for resident concerns about data and digital infrastructure,” she wrote in her resignation letter. “Broad licensing that does not prioritize digital rights of the public can mean that surveillance infrastructure and valuable public data can lay latent for long periods of time, and avoid scrutiny easily, tucked in a foreign-owned company’s proprietary vault.”
Muzaffar also noted in her letter that at the time, there was “no version of being a good steward for the people of Toronto, where Waterfront Toronto does not ensure that both the data and the digital infrastructure in all its developments is controlled by our public institutions.”
The resignations and lawsuit aren’t the only hits against Sidewalk Toronto: On Feb. 25, 2019, Toronto residents took a stand, launching the #BlockSidewalk campaign “to stop Sidewalk Labs from ploughing ahead with a controversial proposal for the development of a large plot of waterfront land in downtown Toronto.”
Despite these high-profile resignations, Waterfront Toronto maintains “an exemplary relationship with them,” according to Waterfront Toronto’s vice president of Innovation, Sustainability and Prosperity, Kristina Verner.
And Sidewalk Labs CEO Dan Doctoroff made several data-related commitments in a press briefing when the company released the MIDP.
He said this independent and government-sanctioned trust (now being called the Urban Data Trust) will establish responsible data use guidelines that apply to all entities; approve and oversee proposed collections and uses of “urban data”; make publicly accessible data that could reasonably be considered a public asset and is properly protected; and improve transparency by publishing Responsible Data Use Assessment summaries and showing the location of approved devices on a publicly accessible map.
Doctoroff also vowed that Sidewalk Labs won’t sell personal information, use it for advertising or disclose it to third parties without explicit consent.
And while more compliance with Canadian data laws may still be required and likely will be “part of the process of working out a very complex arrangement,” he added, “we expect over the course of the next several months to be working through those things. At the end of the day, it will be their [Waterfront Toronto’s] decision. Whatever they come up with, we’re absolutely prepared to comply with.”
Doctoroff also said that Sidewalk Labs is committed to de-identifying data at the source and never sending it to the cloud, but that ultimately the rules should be decided through the democratic process.
Still, the CCLA’s concerns remain, McPhail said, adding that an interesting dynamic appeared after the plan landed.
-- Inserted here: records of crystals --
+++
Below is crystalline PuTcBi at its relaxed geometry, with properties calculated at the PBE level.

Computed properties:
SG: No. 216

Lattice parameters (Å, degrees): 6.691 6.691 6.691 90.00 90.00 90.00
Fractional coordinates of all 12 atoms:
1 Pu 0.000 0.000 0.000
2 Pu 0.000 0.500 0.500
3 Pu 0.500 0.000 0.500
4 Pu 0.500 0.500 0.000
5 Tc 0.250 0.250 0.250
6 Tc 0.250 0.750 0.750
7 Tc 0.750 0.250 0.750
8 Tc 0.750 0.750 0.250
9 Bi 0.250 0.250 0.750
10 Bi 0.250 0.750 0.250
11 Bi 0.750 0.250 0.250
12 Bi 0.750 0.750 0.750


Below is crystalline Ba2FeBiS6 at its relaxed geometry, with properties calculated at the PBE level.

Computed properties:
SG: No. 225

Lattice parameters (Å, degrees): 7.045 7.045 7.045 60.00 60.00 60.00
Fractional coordinates of all 10 atoms:
1 Ba 0.250 0.250 0.250
2 Ba 0.750 0.750 0.750
3 Fe 0.000 0.000 0.000
4 Bi 0.500 0.500 0.500
5 S 0.232 0.232 0.768
6 S 0.232 0.768 0.232
7 S 0.232 0.768 0.768
8 S 0.768 0.232 0.232
9 S 0.768 0.232 0.768
10 S 0.768 0.768 0.232


Number 1: E -103.39 eV for the cell shown. Number 2: E -49.32 eV for the cell shown.

=====

# 1
DFT (PBE-GGA) results for a geometry-optimized U3CSe3 structure.

Lattice parameters (Å, degrees): 7.0963 7.0963 6.9130 93.30 93.30 111.83
Closest atoms and distances in Å follow each position.
Sites, in units of the cell vectors:
1 U 0.0828 0.0828 0.3551  2 C 2.28-2.34, 1 U 2.51
2 U 0.1595 0.4738 0.8019  1 C 2.20
3 U 0.4738 0.1595 0.8019  1 C 2.20
4 U 0.5262 0.8405 0.1981  1 C 2.20
5 U 0.8405 0.5262 0.1981  1 C 2.20
6 U 0.9172 0.9172 0.6449  2 C 2.28-2.34, 1 U 2.51
7 C 0.2132 0.2132 0.6654  4 U 2.20-2.34
8 C 0.7868 0.7868 0.3346  4 U 2.20-2.34
9 Se 0.1522 0.8478 0.0000  6 U 2.93-3.05
10 Se 0.2338 0.7662 0.5000  6 U 2.96-3.23
11 Se 0.3819 0.3819 0.1596  5 U 2.85-3.09, 1 Se 3.04
12 Se 0.6181 0.6181 0.8404  5 U 2.85-3.09, 1 Se 3.04
13 Se 0.7662 0.2338 0.5000  6 U 2.96-3.23
14 Se 0.8478 0.1522 0.0000  6 U 2.93-3.05

## Properties
symmetry = No. 12
size of the total moment = 6.9 μB/f.u.
uncorrected energy = -0.30748 hartree per atom
energy relative to the elements, uncorrected = -0.718 eV/atom

---

# 2
DFT (PBE-GGA) results for a geometry-optimized Co2CuHg structure.

Lattice parameters (Å, degrees): 3.7365 3.7365 7.8893 90.00 90.00 90.00
Closest atoms and distances in Å follow each position.
Sites, in units of the cell vectors:
1 Co 0.0000 0.5000 0.2500  4 Co 2.64, 4 Hg 2.72, 4 Cu 2.72
2 Co 0.0000 0.5000 0.7500  4 Co 2.64, 4 Hg 2.72, 4 Cu 2.72
3 Co 0.5000 0.0000 0.2500  4 Co 2.64, 4 Hg 2.72, 4 Cu 2.72
4 Co 0.5000 0.0000 0.7500  4 Co 2.64, 4 Hg 2.72, 4 Cu 2.72
5 Cu 0.0000 0.0000 0.0000  4 Hg 2.64, 8 Co 2.72
6 Cu 0.5000 0.5000 0.5000  4 Hg 2.64, 8 Co 2.72
7 Hg 0.0000 0.0000 0.5000  4 Cu 2.64, 8 Co 2.72
8 Hg 0.5000 0.5000 0.0000  4 Cu 2.64, 8 Co 2.72

## Properties
symmetry = No. 139
size of the total moment = 3.2 μB/f.u.
uncorrected energy = -0.15655 hartree per atom

---

# 3
DFT (PBE-GGA) results for a geometry-optimized GdYPb2 structure.
+++
“Before it was released, critics were told that we were being premature, that we should wait for the plan. Now that it’s released, those who feel their criticisms remain valid are accused of being afraid — of technology, innovation and bold change,” she said. “I think it’s important to stand firm and note that people can embrace technology but not street-level surveillance; appreciate innovation that works for us and reject innovation that uses us as inputs; and ask for change that responds to needs we express rather than telling us what we should want.”
Waterfront Toronto Media Relations and Issues Advisor Andrew Tumilty pointed out that Sidewalk Labs’ proposal was selected from an international RFP that was open for more than five months.
“But at the end of that RFP, all Sidewalk Labs was granted was the right to produce a proposal,” he added. “They don’t have permission to [fill] a pothole right now.”
The MIDP is going through a very thorough and extensive evaluation before Waterfront Toronto determines what to move ahead with, if anything, Tumilty said.
High-Profile Support
_Calculated crystals, as found in the file_
+++
Compound: Pa2Se3
Source: OQMD
Functional: PBE
Structure: optimized geometry

a b c (Å): 8.9485 8.9485 12.4266
angles (deg): 102.90 102.90 26.20
Sites, in units of the cell vectors:
Se 0.1803 0.1803 0.7247
Pa 0.6651 0.6651 0.8796
Se 0.4981 0.4981 0.8216
Se 0.8197 0.8197 0.2753
Pa 0.3331 0.3331 0.4409
Pa 0.0039 0.0039 0.6628
Se 0.8329 0.8329 0.9590
Pa 0.9961 0.9961 0.3372
Se 0.8356 0.8356 0.6109
Se 0.5000 0.5000 0.5000
Pa 0.3349 0.3349 0.1204
Se 0.5019 0.5019 0.1784
Se 0.1671 0.1671 0.0410
Se 0.1644 0.1644 0.3891
Pa 0.6669 0.6669 0.5591

Calculated values
- Space-group type: C2/m (12)
- VASP energy: -108.00 eV/cell
- Calculated volume: 28.5 Å³ per atom

---

Compound: Pa2SiSe
Source: OQMD
Functional: PBE
Structure: optimized geometry

a b c (Å): 5.7536 5.7533 12.9076
angles (deg): 90.00 116.43 90.00
Sites, in units of the cell vectors:
Pa 0.3788 0.2503 0.8787
Se 0.8752 0.7496 0.3751
Se 0.1248 0.7496 0.1249
Pa 0.6212 0.7497 0.1213
Pa 0.1290 0.2497 0.1289
Pa 0.1290 0.7503 0.6289
Pa 0.8710 0.2497 0.3711
Si 0.3750 0.2497 0.3751
Si 0.6250 0.2497 0.1249
Si 0.3750 0.7503 0.8751
Pa 0.3788 0.7497 0.3787
Se 0.1248 0.2504 0.6249
Pa 0.6212 0.2503 0.6213
Pa 0.8710 0.7503 0.8711
Si 0.6250 0.7503 0.6249
Se 0.8752 0.2504 0.8751

Calculated values
- Space-group type: I4_1/amd (141)
- VASP energy: -125.45 eV/cell
- Calculated volume: 23.9 Å³ per atom

---

Compound: PaSiSe
Source: OQMD
Functional: PBE
Structure: optimized geometry

a b c (Å): 8.7613 8.7613 8.7613
angles (deg): 154.09 154.09 36.97
Sites, in units of the cell vectors:
Si 0.5000 0.0000 0.5000
Si 0.0000 0.5000 0.5000
Pa 0.6292 0.6292 0.0000
Se 0.1849 0.1849 0.0000
Pa 0.3708 0.3708 0.0000
Se 0.8151 0.8151 0.0000

Calculated values
- Space-group type: I4/mmm (139)
- VASP energy: -42.80 eV/cell
- Calculated volume: 21.4 Å³ per atom

---

Compound: Sm2Pa2Se7
Source: OQMD
Functional: PBE
Structure: optimized geometry

a b c (Å): 8.9770 8.9770 8.9770
angles (deg): 153.67 67.22 119.41
Sites, in units of the cell vectors:
Sm 0.1498 0.4111 0.7387
Se 0.9327 0.1136 0.8191
Pa 0.2184 0.2184 0.0000
Sm 0.6725 0.4111 0.2613
Se 0.2944 0.1136 0.1809
Se 0.2863 0.8935 0.3929
Se 0.5006 0.8935 0.6071
Se 0.9875 0.4875 0.5000
Se 0.8521 0.7183 0.1338
Se 0.5845 0.7183 0.8662
Pa 0.6672 0.1672 0.5000

Calculated values
- Space-group type: Imm2 (44)
- VASP energy: -70.34 eV/cell
- Calculated volume: 25.2 Å³ per atom

---

Compound: SrPa2Se5
Source: OQMD
Functional: PBE
Structure: optimized geometry

a b c (Å): 8.8090 8.8090 8.8090
angles (deg): 127.35 127.35 77.68
Sites, in units of the cell vectors:
Sr 0.2500 0.2500 0.0000
Pa 0.8456 0.3456 0.1913
Se 0.0138 0.2140 0.5000
Se 0.0000 0.0000 0.0000
Se 0.2140 0.7140 0.2002
Se 0.4862 0.9862 0.2002
Se 0.9862 0.7860 0.5000
Se 0.7140 0.5138 0.5000
Pa 0.6544 0.8456 0.5000
Sr 0.7500 0.7500 0.0000
Se 0.5138 0.0138 0.7998
Se 0.7860 0.2860 0.7998
Pa 0.1544 0.6544 0.8087
Se 0.5000 0.5000 0.0000
Pa 0.3456 0.1544 0.5000
Se 0.2860 0.4862 0.5000

Calculated values
- Space-group type: I4/mcm (140)
+++
A few weeks after the draft MIDP was released, the Toronto Region Board of Trade — a large and influential chamber of commerce — issued a letter acknowledging that while the project has problems that must be resolved, it ultimately would drive solutions to development challenges in Toronto and should be allowed to proceed.“Several issues and details must still be resolved; for example, Quayside and other similar projects in the Toronto region will have to comply with clear data privacy regulations that are not yet in place, and the eastern waterfront will still need a final path to rapid transit financing before this project can be developed to its full potential,” the board of trade wrote in the letter. “Nevertheless, we also believe there are many exciting ideas in this proposal that can help Toronto tackle some of the major challenges we face.”
Now that the MIDP is in the hands of decision-makers, city staff are reviewing it and consulting with the public and stakeholders, said David Stonehouse, director of the Toronto Waterfront Secretariat.
From Sidewalk Labs’ perspective, the MIDP is the result of extensive planning work and discussions with more than 20,000 Torontonians over the last year and a half, said Keerthana Rang, communications associate at Sidewalk Labs.
“Robust public debate and discussion will only make these ideas better and we look forward to continuing to consult with Torontonians across the city to get this right,” she said. “This project is for Toronto and it will be up to residents, Waterfront Toronto and all three levels of government to decide if it should go forward.”
The Waterfront Toronto Board decision and City Council vote is expected around fall 2019/winter 2020.